**What to do:**
The reader should quote the whole of the contents further below verbatim.

**Entries:**
=====
1.
For Na2Cr7O14, a cell relaxed with PBE+U gives the theoretical powder X-ray diffraction pattern in this record (a wavelength of 1.5418 Å).
Kinematic intensities with the Lorentz-polarization factor, no thermal factor.

Largest 10 diffraction maxima, low angle first, 10° ≤ 2θ ≤ 90°:
- d 4.066, 2θ = 21.86°, intensity 23.4
- d 3.126, 2θ = 28.55°, intensity 31.1
- d 2.875, 2θ = 31.11°, intensity 100.0
- d 2.751, 2θ = 32.55°, intensity 18.0
- d 2.453, 2θ = 36.64°, intensity 69.0
- d 2.278, 2θ = 39.56°, intensity 54.6
- d 1.785, 2θ = 51.18°, intensity 25.2
- d 1.661, 2θ = 55.32°, intensity 31.0
- d 1.565, 2θ = 59.03°, intensity 40.4
- d 1.439, 2θ = 64.80°, intensity 34.9

Cell and atoms:
```
Na2Cr7O14
1.0
2.878 1.661 9.377
-2.878 1.661 9.377
0.000 -3.323 9.377
Na Cr O
2 7 14
direct
0.198 0.198 0.198
0.802 0.802 0.802
0.000 0.500 0.500
0.076 0.076 0.076
0.440 0.440 0.440
0.500 0.000 0.500
0.500 0.500 0.000
0.560 0.560 0.560
0.924 0.924 0.924
0.137 0.137 0.616
0.137 0.616 0.137
0.201 0.722 0.722
0.278 0.278 0.799
0.278 0.799 0.278
0.371 0.371 0.371
0.384 0.863 0.863
0.616 0.137 0.137
0.629 0.629 0.629
0.722 0.201 0.722
0.722 0.722 0.201
0.799 0.278 0.278
0.863 0.384 0.863
0.863 0.863 0.384
```

***

2.
For Na4CrO3, a cell relaxed with PBE+U gives the theoretical powder X-ray diffraction pattern in this record (a wavelength of 1.5418 Å).
Kinematic intensities with the Lorentz-polarization factor, no thermal factor.

Largest 10 diffraction maxima, low angle first, 10° ≤ 2θ ≤ 90°:
- d 4.746, 2θ = 18.70°, intensity 31.2
- d 4.083, 2θ = 21.76°, intensity 54.5
- d 3.516, 2θ = 25.33°, intensity 32.0
- d 2.673, 2θ = 33.53°, intensity 40.1
- d 2.587, 2θ = 34.68°, intensity 100.0
- d 2.560, 2θ = 35.05°, intensity 98.7
- d 2.393, 2θ = 37.59°, intensity 78.5
- d 2.034, 2θ = 44.56°, intensity 41.7
- d 1.850, 2θ = 49.24°, intensity 21.3
- d 1.662, 2θ = 55.29°, intensity 38.3

Cell and atoms:
```
Na4CrO3
1.0
5.444 -2.916 0.000
5.444 2.916 0.000
-3.920 0.000 7.903
Na Cr O
8 2 6
direct
0.043 0.344 0.405
0.150 0.850 0.500
0.344 0.043 0.905
0.382 0.781 0.182
0.619 0.942 0.585
0.781 0.382 0.682
0.850 0.150 0.000
0.942 0.619 0.085
0.262 0.560 0.793
0.560 0.262 0.293
0.028 0.877 0.739
0.229 0.257 0.686
0.257 0.229 0.186
0.556 0.574 0.420
0.574 0.556 0.920
0.877 0.028 0.239
```

=====

(1)
Structure and computed X-ray diffraction stick pattern of Zr3Bi2Sb2Ir4 (a GGA-PBE-relaxed structure; λ = 1.5418 Å (Cu Kα)).
Neutral-atom scattering factors, no anomalous dispersion.

Cell and atoms:
```
11
Lattice="-3.1939 3.1939 6.4362 3.1939 -3.1939 6.4362 3.1939 3.1939 -6.4362" Properties=species:S:1:pos:R:3 pbc="T T T"
Zr 0.0000 0.0000 0.0000
Zr 3.1939 0.0000 3.2181
Zr 0.0000 3.1939 3.2181
Bi 3.1939 0.0000 0.0000
Bi 0.0000 3.1939 0.0000
Sb 0.0000 0.0000 3.3152
Sb 0.0000 0.0000 9.5572
Ir 1.5495 1.5495 -1.7032
Ir 1.6444 -1.6444 8.1394
Ir 1.6444 1.6444 4.7331
Ir -1.6444 1.6444 8.1394
```

The 10 most intense peaks (2θ = 5–70°), in order of rising 2θ:
2theta, d (Å), intensity
19.7, 4.517, 71
24.1, 3.697, 919
39.8, 2.267, 1000
39.9, 2.258, 503
46.9, 1.938, 150
47.2, 1.927, 310
57.3, 1.609, 82
57.7, 1.597, 170
63.2, 1.471, 123
63.5, 1.466, 64

=====

(2)
Structure and computed X-ray diffraction stick pattern of Ta4Bi5Ir5 (a GGA-PBE-relaxed structure; λ = 1.5418 Å (Cu Kα)).
Neutral-atom scattering factors, no anomalous dispersion.

Cell and atoms:
```
14
Lattice="-4.9883 4.9883 3.1928 4.9883 -4.9883 3.1928 4.9883 4.9883 -3.1928" Properties=species:S:1:pos:R:3 pbc="T T T"
Ta 6.9528 0.9567 -0.0428
Ta 0.9567 3.0238 0.0428
Ta 4.0316 1.9645 3.2357
Ta -1.9645 4.0316 3.1500
Bi 0.0000 0.0000 0.0000
Bi 4.1492 2.2457 0.0823
Bi 2.7426 -0.8391 3.1105
Bi 2.2457 5.8274 -0.0823
Bi 0.8391 2.7426 3.2752
Ir 4.9883 0.0000 1.5964
Ir -1.0975 2.1789 1.3878
Ir 2.8094 3.8908 1.8050
Ir -2.8094 6.0858 1.8050
Ir 1.0975 7.7977 1.3878
```

The 10 most intense peaks (2θ = 5–70°), in order of rising 2θ:
2theta, d (Å), intensity
24.3, 3.657, 533
27.9, 3.193, 71
28.3, 3.155, 123
35.4, 2.539, 101
=====

**Completed:**
1.
For Na2Cr7O14, a cell relaxed with PBE+U gives the theoretical powder X-ray diffraction pattern in this record (a wavelength of 1.5418 Å).
Kinematic intensities with the Lorentz-polarization factor, no thermal factor.

Largest 10 diffraction maxima, low angle first, 10° ≤ 2θ ≤ 90°:
- d 4.066, 2θ = 21.86°, intensity 23.4
- d 3.126, 2θ = 28.55°, intensity 31.1
- d 2.875, 2θ = 31.11°, intensity 100.0
- d 2.751, 2θ = 32.55°, intensity 18.0
- d 2.453, 2θ = 36.64°, intensity 69.0
- d 2.278, 2θ = 39.56°, intensity 54.6
- d 1.785, 2θ = 51.18°, intensity 25.2
- d 1.661, 2θ = 55.32°, intensity 31.0
- d 1.565, 2θ = 59.03°, intensity 40.4
- d 1.439, 2θ = 64.80°, intensity 34.9

Cell and atoms:
```
Na2Cr7O14
1.0
2.878 1.661 9.377
-2.878 1.661 9.377
0.000 -3.323 9.377
Na Cr O
2 7 14
direct
0.198 0.198 0.198
0.802 0.802 0.802
0.000 0.500 0.500
0.076 0.076 0.076
0.440 0.440 0.440
0.500 0.000 0.500
0.500 0.500 0.000
0.560 0.560 0.560
0.924 0.924 0.924
0.137 0.137 0.616
0.137 0.616 0.137
0.201 0.722 0.722
0.278 0.278 0.799
0.278 0.799 0.278
0.371 0.371 0.371
0.384 0.863 0.863
0.616 0.137 0.137
0.629 0.629 0.629
0.722 0.201 0.722
0.722 0.722 0.201
0.799 0.278 0.278
0.863 0.384 0.863
0.863 0.863 0.384
```

***

2.
For Na4CrO3, a cell relaxed with PBE+U gives the theoretical powder X-ray diffraction pattern in this record (a wavelength of 1.5418 Å).
Kinematic intensities with the Lorentz-polarization factor, no thermal factor.

Largest 10 diffraction maxima, low angle first, 10° ≤ 2θ ≤ 90°:
- d 4.746, 2θ = 18.70°, intensity 31.2
- d 4.083, 2θ = 21.76°, intensity 54.5
- d 3.516, 2θ = 25.33°, intensity 32.0
- d 2.673, 2θ = 33.53°, intensity 40.1
- d 2.587, 2θ = 34.68°, intensity 100.0
- d 2.560, 2θ = 35.05°, intensity 98.7
- d 2.393, 2θ = 37.59°, intensity 78.5
- d 2.034, 2θ = 44.56°, intensity 41.7
- d 1.850, 2θ = 49.24°, intensity 21.3
- d 1.662, 2θ = 55.29°, intensity 38.3

Cell and atoms:
```
Na4CrO3
1.0
5.444 -2.916 0.000
5.444 2.916 0.000
-3.920 0.000 7.903
Na Cr O
8 2 6
direct
0.043 0.344 0.405
0.150 0.850 0.500
0.344 0.043 0.905
0.382 0.781 0.182
0.619 0.942 0.585
0.781 0.382 0.682
0.850 0.150 0.000
0.942 0.619 0.085
0.262 0.560 0.793
0.560 0.262 0.293
0.028 0.877 0.739
0.229 0.257 0.686
0.257 0.229 0.186
0.556 0.574 0.420
0.574 0.556 0.920
0.877 0.028 0.239
```

=====

(1)
Structure and computed X-ray diffraction stick pattern of Zr3Bi2Sb2Ir4 (a GGA-PBE-relaxed structure; λ = 1.5418 Å (Cu Kα)).
Neutral-atom scattering factors, no anomalous dispersion.

Cell and atoms:
```
11
Lattice="-3.1939 3.1939 6.4362 3.1939 -3.1939 6.4362 3.1939 3.1939 -6.4362" Properties=species:S:1:pos:R:3 pbc="T T T"
Zr 0.0000 0.0000 0.0000
Zr 3.1939 0.0000 3.2181
Zr 0.0000 3.1939 3.2181
Bi 3.1939 0.0000 0.0000
Bi 0.0000 3.1939 0.0000
Sb 0.0000 0.0000 3.3152
Sb 0.0000 0.0000 9.5572
Ir 1.5495 1.5495 -1.7032
Ir 1.6444 -1.6444 8.1394
Ir 1.6444 1.6444 4.7331
Ir -1.6444 1.6444 8.1394
```

The 10 most intense peaks (2θ = 5–70°), in order of rising 2θ:
2theta, d (Å), intensity
19.7, 4.517, 71
24.1, 3.697, 919
39.8, 2.267, 1000
39.9, 2.258, 503
46.9, 1.938, 150
47.2, 1.927, 310
57.3, 1.609, 82
57.7, 1.597, 170
63.2, 1.471, 123
63.5, 1.466, 64

=====

(2)
Structure and computed X-ray diffraction stick pattern of Ta4Bi5Ir5 (a GGA-PBE-relaxed structure; λ = 1.5418 Å (Cu Kα)).
Neutral-atom scattering factors, no anomalous dispersion.

Cell and atoms:
```
14
Lattice="-4.9883 4.9883 3.1928 4.9883 -4.9883 3.1928 4.9883 4.9883 -3.1928" Properties=species:S:1:pos:R:3 pbc="T T T"
Ta 6.9528 0.9567 -0.0428
Ta 0.9567 3.0238 0.0428
Ta 4.0316 1.9645 3.2357
Ta -1.9645 4.0316 3.1500
Bi 0.0000 0.0000 0.0000
Bi 4.1492 2.2457 0.0823
Bi 2.7426 -0.8391 3.1105
Bi 2.2457 5.8274 -0.0823
Bi 0.8391 2.7426 3.2752
Ir 4.9883 0.0000 1.5964
Ir -1.0975 2.1789 1.3878
Ir 2.8094 3.8908 1.8050
Ir -2.8094 6.0858 1.8050
Ir 1.0975 7.7977 1.3878
```

The 10 most intense peaks (2θ = 5–70°), in order of rising 2θ:
2theta, d (Å), intensity
24.3, 3.657, 533
27.9, 3.193, 71
28.3, 3.155, 123
35.4, 2.539, 101